Feds struggle to measure IT value

OMB’s demands drive need for better methods

The Office of Management and Budget’s demand that agencies justify their spending on information technology, as outlined in OMB Circular A-11, is one of several policy shifts in recent years that have forced agency leaders to measure the value of IT.

The same factors arise in competitive sourcing situations, in which federal employees need to provide hard numbers to compete against private-sector firms and in other settings. Although agencies have had some time to adjust, it still is often a struggle.

“We don’t have hard [return on investment] for the most part,” said Doug Brown, assistant director of the Project Management Office in the Office of IT at the Securities and Exchange Commission.

Most agency costs come in the form of payroll, he said. In some agencies, if an IT implementation or another change to business processes can increase efficiency, the agency can trim its staff to manage the costs. The SEC, in general, doesn’t work that way.

“ROI is a much softer concept,” Brown said. Companies can look at their balance sheets and see how increased efficiencies lead to higher revenues or profits. In government, employees who are freed from one set of duties by automation are often simply put to work on other things. The agency’s costs may not change or may even rise, but the quality of service to taxpayers has improved. That improvement, however, may come in ways that are difficult to show.

When contractors are involved, the lead integrator is often able to help the agency choose appropriate ways to measure effectiveness, said Sid Fuchs, president of the civilian agencies group in the IT division at Northrop Grumman.

The appropriate measures often depend on who is measuring, he said. “If you’re a project manager, you’re looking at effectiveness by cost, schedule and performance,” he said. “If you’re an end user, if you’re a first responder in the field, you’re going to measure it by, ‘Did I get the data when I needed it?’ ”

Agencies are increasingly aware of the importance of the IT user’s experience, Fuchs added. That can be a taxpayer trying to get information from the Internal Revenue Service or a police officer needing data from a federal law enforcement agency.

“People want definitive, well-defined, black-or-white metrics,” Fuchs said. “That’s difficult in a world where there are a lot of unknowns, a lot of uncertainty. What you don’t want to do is put your end user at risk.”

Some consulting firms are also working on the problem on behalf of agencies. In 2003, Accenture created the Public Sector Value Model (PSV), a methodology for measuring ROI. This year, the company established an institute in Washington, D.C., and one in London for others to exchange ideas and conduct research on measuring performance.

Accenture renamed its model Public Service Value, said Greg Parston, the newly hired director of the Accenture Institute for Public Service Value. By facilitating research and consulting through the institute, Accenture will encourage agencies to adopt PSV, he said. Accenture has put it in the public domain so that anyone can use it.

The firm’s research institute will formally open in June. “The institute is meant to be an active research center,” Parston said. “It is a ‘do tank’ rather than a think tank.”

“The company will set an initial research agenda,” he said. “We don’t want to be an ivory tower. We want to draw from what people are really experiencing.” Accenture wants to encourage thought leaders in government and academia to participate in the institute’s efforts, he added.

Parston said people go into public service wanting to serve, and tapping into that motivation can help build support for measuring performance. “If you can be more open about the ‘why’ question, you can get people to think about the ways” they perform their duties, he said. “What we can do is give people an opportunity to see how the way they work contributes to what they want to do.”

The institute will publish papers written by its research fellows. It will also produce opinion articles for magazines and use other avenues to disseminate ideas, Parston said.

Although people are becoming more familiar with measuring value, many agencies and companies often still choose measures that are too vague, said Steve Hawald, Robbins-Gioia’s solution process refinement and optimization practice area manager.

They choose measures such as, “ ‘We will delight our customers. We will have better uptime,’ ” he said. “What does that mean? These things are very subjective, and they’re not real. Most programs miss the boat at the beginning.”

Support from agency leaders is critical for achieving any meaningful measure of IT value, Hawald said. “You need to lay out the guiding principles on Day One, and try to get to the point where you’re getting the right data to the right decision-maker at the right moment,” he said. “IT projects are very complex.”

Calculated crystals that have nothing to do with the piece:
........
A plane-wave DFT calculation with PBE was carried out for crystalline BaMgAs at its relaxed geometry.

```
data_BaMgAs
_cell_length_a 3.857
_cell_length_b 3.857
_cell_length_c 11.869
_cell_angle_alpha 90.00
_cell_angle_beta 90.00
_cell_angle_gamma 90.00
_symmetry_space_group_name_H-M 'I 4 m m'
_symmetry_Int_Tables_number 107
_symmetry_space_group_name_Hall 'I 4 -2'
loop_
_atom_site_label
_atom_site_fract_x
_atom_site_fract_y
_atom_site_fract_z
Ba1 0.000 0.000 0.000
Mg1 0.000 0.000 0.722
As1 0.000 0.000 0.298
```

=====

A plane-wave DFT calculation with PBE was carried out for crystalline Ba2MgAs at its relaxed geometry.

```
data_Ba2MgAs
_cell_length_a 4.571
_cell_length_b 5.003
_cell_length_c 13.002
_cell_angle_alpha 90.00
_cell_angle_beta 90.00
_cell_angle_gamma 90.00
_symmetry_space_group_name_H-M 'A m m 2'
_symmetry_Int_Tables_number 38
_symmetry_space_group_name_Hall 'A 2 -2'
loop_
_atom_site_label
_atom_site_fract_x
_atom_site_fract_y
_atom_site_fract_z
Ba1 0.000 0.000 0.000
Ba2 0.500 0.000 0.287
Mg1 0.000 0.000 0.695
As1 0.500 0.000 0.567
```

=====

A plane-wave DFT calculation with PBE was carried out for crystalline Ba2MgAs at its relaxed geometry.

```
data_Ba2MgAs
_cell_length_a 8.270
_cell_length_b 8.270
_cell_length_c 8.270
_cell_angle_alpha 90.00
_cell_angle_beta 90.00
_cell_angle_gamma 90.00
_symmetry_space_group_name_H-M 'F m -3 m'
_symmetry_Int_Tables_number 225
_symmetry_space_group_name_Hall '-F 4 2 3'
loop_
_atom_site_label
_atom_site_fract_x
_atom_site_fract_y
_atom_site_fract_z
Ba1 0.250 0.250 0.250
Mg1 0.000 0.000 0.000
As1 0.000 0.000 0.500
```

=====

A plane-wave DFT calculation with PBE was carried out for crystalline Ba3MgAs at its relaxed geometry.

```
data_Ba3MgAs
_cell_length_a 6.400
_cell_length_b 6.400
_cell_length_c 6.400
_cell_angle_alpha 90.00
_cell_angle_beta 90.00
_cell_angle_gamma 90.00
_symmetry_space_group_name_H-M 'P m -3 m'
_symmetry_Int_Tables_number 221
_symmetry_space_group_name_Hall '-P 4 2 3'
loop_
_atom_site_label
_atom_site_fract_x
_atom_site_fract_y
_atom_site_fract_z
Ba1 0.000 0.000 0.500
Mg1 0.500 0.500 0.500
As1 0.000 0.000 0.000
```

=====

Calculated formation energy values (in eV/atom) by entry order: -0.439 -0.609 -0.445 -0.408.
Energy above the lowest structure with this stoichiometry values (in meV per atom) by entry order: 331 0 164 0.

----------

VASP calculation (PBE-GGA) on crystalline MoOsRh2 at its relaxed geometry.

raw total energy: -8.735 eV per atom
density of states at the Fermi level: 9.34 states/eV/cell
theoretical density: 12.883 g/cm3
space-group type: I-42d, No. 122
energy of formation: 0.46 eV per atom
ΔE to the lowest computed polymorph: 0.645 eV/atom

Cell lengths 3.743, 3.743, 9.430 Å; angles 78.55, 78.55, 90.00 degrees
Sites, in units of the cell vectors:
Mo 0.500 0.500 0.000
Mo 0.250 0.750 0.500
Rh 0.375 0.369 0.750
Rh 0.631 0.125 0.250
Rh 0.119 0.625 0.250
Rh 0.875 0.881 0.750
Os 0.000 0.000 0.000
Os 0.750 0.250 0.500
........

Choosing the right measures is especially challenging for public agencies, Hawald said.

“We need to come up with some standardized best practices for all the agencies. Everybody’s kind of doing their own thing. I see some that are very good and some that are awful.”

Brown emphasized the dynamics that can mask real improvements in an agency. An SEC lawyer, for example, may need 10 hours to search through boxes for a document that might not be there.

“If I give him an automated system to search for that, he can find out whether it’s there or not in seconds,” Brown said. “So he’s back to doing hundred-buck-an-hour lawyer work rather than clerical work. But we still have the same number of lawyers, so we can’t show savings on that. That’s where it gets hard doing outcomes-based analysis. There’s no good way to put your finger on the return.”

The SEC is just a few months into a second phase of an effort to analyze IT outcomes, Brown said. SEC leaders have asked program managers to create a five-year plan that defines each program’s mission and its goals. The next step, beginning in fiscal 2007, will be to identify appropriate benchmarks.

Popular methods for measuring processesAgencies are increasingly interested in measures: measuring the return on investment in information technology and measuring the software development process.

Earned value management is one way to chart the progress of IT projects. It provides benchmarks that show whether the effort is on schedule and within budget. The Capability and Maturity Model Integrated (CMMI) is a set of policies and practices that assess the degree to which software development processes are systematic, documented and standardized.

CMMI is not just for companies anymore. Agencies are also seeking CMMI ratings on certain aspects of their operations.

CMMI evolved from older CMM standards for software development, systems engineering and other disciplines. It is, broadly speaking, an evaluation of the processes that an organization uses to determine whether they are systematic, documented and repeatable. The ratings range from 1 to 5, with 5 representing the most meticulous attention to detail.

The Government Accountability Office’s scrutiny has put many agencies in an uncomfortable spotlight, said Mike Phillips, director of special programs at the Software Engineering Institute, which created CMMI and regularly updates the standard. GAO’s attention led SEI to begin work on two new extensions to CMMI to cover acquisitions and services.

“It’s because of GAO looking in on organizations,” Phillips said. “It appears they’re one of the instigators of keeping discipline in government.”

Donn Milton, executive vice president of Pragma Systems, said government agencies account for about one-third of buyers of his company’s tools, which prepare organizations for CMMI evaluations. Another half of the business comes from government contractors responding to increasing demands that they must show CMMI ratings to agencies when bidding on contracts.

— Michael Hardy